In the most common system of taxonomy, as we should all have learned in high school, human beings are Animalia Chordata Mammalia Primata Hominidae Homo Sapiens. The first bit essentially means that we eat something other than sunlight. The second bit means we are descended – like all other vertebrates – from Pikaia gracilens. This creature lived about 570 million years ago and was part of the Cambrian explosion: so spectacularly displayed in the Burgess shale near the border of British Columbia.
Pikaia was initially mis-categorized as a worm. Now, it seems that the combination of segments, muscles, and a flexible dorsal rod embodied in this little creature may mean that it was the first vertebrate: the template for all those alive today. From the first vertebrate species, all amphibians, reptiles, birds, and mammals evolved. From tuna fish to orangutan, we may all be descendents of Pikaia. Writing about the animal in Wonderful Life, Stephen Jay Gould highlights both its huge evolutionary legacy and the degree to which it arose as the result of many change occurrences. If we could go back all those millions of years and let time unroll again, it is highly likely that we would have a profoundly different world at the end.
You can begin to imagine how staggeringly different the contemporary world would be if this little creature hadn’t survived and spread. The old view of evolution as a linear and predictable progression towards ‘higher’ organisms – a surprisingly common teleological view – is laid to rest by the contemplation of the degree to which chance can nudge history down one or another track.
Here is a computer rendering of how Pikaia gracilens may have looked.
‘Pikaia gracilens and the vertebrates’ would be a wicked name for a band.
Here is a cool Pikaia descendant: the Green Turtle.
Pikaia gracilens (a primitive chordate)
Living among the variety of ancestral forms that make up the Burgess Shale community is this earliest known representative of the phylum to which we ourselves belong. Averaging about one and one half inches in length, Pikaia swam above the seafloor using its body and an expanded tail fin.
MAY 15, 2009
Fossil Discovery Is Heralded
In what could prove to be a landmark discovery, a leading paleontologist said scientists have dug up the 47 million-year-old fossil of an ancient primate whose features suggest it could be the common ancestor of all later monkeys, apes and humans.
Anthropologists have long believed that humans evolved from ancient ape-like ancestors. Some 50 million years ago, two ape-like groups walked the Earth. One is known as the tarsidae, a precursor of the tarsier, a tiny, large-eyed creature that lives in Asia. Another group is known as the adapidae, a precursor of today’s lemurs in Madagascar.
Based on previously limited fossil evidence, one big debate had been whether the tarsidae or adapidae group gave rise to monkeys, apes and humans. The latest discovery bolsters the less common position that our ancient ape-like ancestor was an adapid, the believed precursor of lemurs.
CALGARY — It seems an inglorious beginning, but some scientists are now convinced humanity’s origins can be traced to an ancient, flat, fishlike worm.
What comes next are materials data, not part of the piece >
+++
# LiSnP4O12 PBE-GGA optimized geometry
data_LiSnP4O12
_chemical_formula_sum 'Li2 Sn2 P8 O24'
_symmetry_space_group_name_H-M 'P 1'
_symmetry_Int_Tables_number 1
_symmetry_space_group_name_Hall 'P 1'
_cell_length_a 7.5797
_cell_length_b 7.5962
_cell_length_c 10.2318
_cell_angle_alpha 99.65
_cell_angle_beta 108.30
_cell_angle_gamma 110.48
loop_
_atom_site_label
_atom_site_type_symbol
_atom_site_fract_x
_atom_site_fract_y
_atom_site_fract_z
Li1 Li 0.0000 0.0000 0.0000
Li2 Li 0.4896 0.0004 0.4986
Sn1 Sn 0.2471 0.4994 0.2487
Sn2 Sn 0.2478 0.0001 0.7486
P1 P 0.2380 0.6787 0.9373
P2 P 0.2488 0.3159 0.5564
P3 P 0.5112 0.7226 0.7707
P4 P 0.5450 0.2551 0.2716
P5 P 0.7398 0.3062 0.0593
P6 P 0.7553 0.6928 0.4374
P7 P 0.9485 0.7445 0.2258
P8 P 0.9777 0.2727 0.7236
O1 O 0.0353 0.4950 0.8152
O2 O 0.0592 0.3134 0.5958
O3 O 0.1124 0.1967 0.8212
O4 O 0.1226 0.7081 0.3243
O5 O 0.2018 0.8607 0.9210
O6 O 0.2071 0.3407 0.4092
O7 O 0.2830 0.1325 0.5711
O8 O 0.2836 0.6561 0.0854
O9 O 0.3682 0.2905 0.1757
O10 O 0.3817 0.8019 0.6724
O11 O 0.4235 0.6784 0.8947
O12 O 0.4510 0.4987 0.6795
O13 O 0.5035 0.0971 0.3386
O14 O 0.5549 0.7075 0.4230
O15 O 0.5670 0.2035 0.9122
O16 O 0.6773 0.2234 0.1803
O17 O 0.7162 0.4656 0.3954
O18 O 0.7373 0.8306 0.8422
O19 O 0.7520 0.1626 0.6564
O20 O 0.7823 0.5340 0.1003
O21 O 0.8140 0.7763 0.3154
O22 O 0.9277 0.7989 0.5842
O23 O 0.9382 0.2864 0.0741
O24 O 0.9890 0.9010 0.1578
# Symmetry: P1
# Energy relative to the lowest polymorph listed for this composition, meV per atom: 9

---

# Ce3Si2 PBE-GGA optimized geometry
data_Ce3Si2
_chemical_formula_sum 'Ce6 Si4'
_symmetry_space_group_name_H-M 'P 1'
_symmetry_Int_Tables_number 1
_symmetry_space_group_name_Hall 'P 1'
_cell_length_a 7.6397
_cell_length_b 7.6397
_cell_length_c 4.1710
_cell_angle_alpha 90.00
_cell_angle_beta 90.00
_cell_angle_gamma 90.00
loop_
_atom_site_label
_atom_site_type_symbol
_atom_site_fract_x
_atom_site_fract_y
_atom_site_fract_z
Ce1 Ce 0.0000 0.0000 0.0000
Ce2 Ce 0.1798 0.3202 0.5000
Ce3 Ce 0.3202 0.8202 0.5000
Ce4 Ce 0.5000 0.5000 0.0000
Ce5 Ce 0.6798 0.1798 0.5000
Ce6 Ce 0.8202 0.6798 0.5000
Si1 Si 0.1137 0.6137 0.0000
Si2 Si 0.3863 0.1137 0.0000
Si3 Si 0.6137 0.8863 0.0000
Si4 Si 0.8863 0.3863 0.0000
# Symmetry: P4/mbm

---

# EuIO PBE-GGA optimized geometry
data_EuIO
_chemical_formula_sum 'Eu2 I2 O2'
_symmetry_space_group_name_H-M 'P 1'
_symmetry_Int_Tables_number 1
_symmetry_space_group_name_Hall 'P 1'
_cell_length_a 4.0778
_cell_length_b 4.0778
_cell_length_c 9.3753
_cell_angle_alpha 90.00
_cell_angle_beta 90.00
_cell_angle_gamma 90.00
loop_
_atom_site_label
_atom_site_type_symbol
_atom_site_fract_x
_atom_site_fract_y
_atom_site_fract_z
Eu1 Eu 0.2500 0.2500 0.1217
Eu2 Eu 0.7500 0.7500 0.8783
I1 I 0.2500 0.2500 0.6737
I2 I 0.7500 0.7500 0.3263
O1 O 0.2500 0.7500 0.0000
O2 O 0.7500 0.2500 0.0000
# Symmetry: P4/nmm

---

# Na10La4Zr4Si7S5O48 PBE-GGA optimized geometry
data_Na10La4Zr4Si7S5O48
_chemical_formula_sum 'Na30 La12 Zr12 Si21 S15 O144'
+++
A team of researchers subjected the 505-million-year-old Burgess shale fossils of Pikaia gracilens to the latest technology and found evidence that could settle a decades-long debate about the primitive species.
Notably, that they had the seeds of a spine.
“We can see and discern the positive location of the notochord and the nerve chord. This was not obvious at all, you needed these techniques to see it,” said Jean-Bernard Caron, the curator of invertebrate paleontology at the Royal Ontario Museum.
Caron is the co-author of a study to be published Monday in the British journal, Biological Reviews. The lead author was English paleontologist Simon Conway Morris.
The earliest explorers of the Burgess shale collected specimens of Pikaia in 1911. But the creature was overlooked as an ancestor of the earthworm.
“They had no idea it might be something more important to us then, at first sight,” Caron said.
It wasn’t until the ‘70s that Morris first suggested the lancelet-like species could in fact be one of the earliest known members of Phylum Chordata — the class that spawned animals with spines. He noted what looked like a notochord, a primitive spine that forms in the embryos of all vertebrate animals, including humans.
Metaspriggina had large eyes (towards the left in the photograph) and, though boneless and therefore spineless, had a characteristic structure called a notochord running along its back to stiffen it. Backboned animals, too, have a notochord when they are embryos, though it disappears during development. Metaspriggina or one of its contemporaries was thus ancestral to mankind.